
Application performance monitoring: IBM takes over Instana

IBM apparently wants to take over Instana, a 2015 founded company specializing in performance monitoring with roots in Germany. Instana, with its headquarters in Chicago and a development center based in this country, sells an APM platform (Application Performance Monitoring). Financial details of the proposed acquisition were not disclosed and the transaction is subject to customary closing conditions. It is expected to be completed within a few months.

What can Instana? Instana is designed to enable organizations to manage the performance of cloud-native applications no matter where they are – on mobile devices, in public and private clouds, and on-site, including IBM’s mainframe architecture Z. Instana’s Enterprise Observability Platform apparently automatically builds a contextual understanding of cloud applications and provides insights into IT problems that could harm companies or reduce customer satisfaction, such as slow response times, non-functioning services or a failed infrastructure. For these it probably shows where they can be prevented or remedied.

More specifically, Instana offers transparency via CI / CD pipelines (Continuous Integration / Continuous Delivery). It reduces complexity through automated discovery and dependency mapping in the entire hybrid cloud enterprise infrastructure. Established open source technologies such as the Prometheus monitoring tool and the OpenTelemetry observability framework are used for this purpose.

[Next to the article, the page also holds crystal structures]
+++
Entry 1:
Starting from a DFT-relaxed cell (GGA-PBE, Alexandria), the X-ray powder pattern of Na5As2I2 was calculated for Cu Kα, 1.54184 Å.
Intensities are scaled so that the largest is 100.

Cell and atoms:
Cell lengths 9.261, 9.261, 7.852 Å; angles 90.00, 90.00, 50.06 degrees
Positions (direct):
Na 0.000 0.000 0.000
Na 0.047 0.702 0.672
Na 0.202 0.547 0.172
Na 0.298 0.953 0.672
Na 0.453 0.798 0.172
Na 0.500 0.500 0.500
Na 0.547 0.202 0.828
Na 0.702 0.047 0.328
Na 0.798 0.453 0.828
Na 0.953 0.298 0.328
As 0.111 0.889 0.388
As 0.389 0.611 0.888
As 0.611 0.389 0.112
As 0.889 0.111 0.612
I 0.206 0.206 0.000
I 0.294 0.294 0.500
I 0.706 0.706 0.500
I 0.794 0.794 0.000

Peak list (12 most intense, 5° ≤ 2θ ≤ 70°, sorted by position)
2θ/deg, intensity
21.18, 16.0
22.59, 100.0
22.70, 21.4
25.06, 29.3
30.06, 15.7
31.19, 54.4
32.28, 27.6
34.05, 17.0
36.62, 27.7
41.01, 29.6
45.47, 38.8
47.62, 21.5

=====

Entry 2:
Starting from a DFT-relaxed cell (GGA-PBE, Alexandria), the X-ray powder pattern of Na2AsI5 was calculated for Cu Kα, 1.54184 Å.
Intensities are scaled so that the largest is 100.

Cell and atoms:
Cell lengths 8.115, 8.115, 6.681 Å; angles 112.11, 112.11, 87.95 degrees
Positions (direct):
Na 0.230 0.770 0.000
Na 0.770 0.230 0.000
As 0.210 0.210 0.591
I 0.157 0.157 0.934
I 0.466 0.955 0.549
I 0.498 0.498 0.872
I 0.931 0.931 0.202
I 0.955 0.466 0.549

Peak list (12 most intense, 5° ≤ 2θ ≤ 70°, sorted by position)
2θ/deg, intensity
11.86, 66.6
15.44, 61.9
16.42, 53.4
22.19, 100.0
22.81, 68.2
23.85, 45.8
24.24, 53.2
26.73, 80.2
29.36, 61.6
31.76, 83.6
36.10, 57.9
41.98, 47.1

=====

Entry 3:
Starting from a DFT-relaxed cell (GGA-PBE, Alexandria), the X-ray powder pattern of NaAs4IO6 was calculated for Cu Kα, 1.54184 Å.
Intensities are scaled so that the largest is 100.

Cell and atoms:
Cell lengths 5.346, 5.346, 9.304 Å; angles 90.00, 90.00, 120.00 degrees
Positions (direct):
Na 0.000 0.000 0.000
As 0.333 0.667 0.281
As 0.333 0.667 0.719
As 0.667 0.333 0.281
As 0.667 0.333 0.719
I 0.000 0.000 0.500
O 0.000 0.500 0.173
O 0.000 0.500 0.827
O 0.500 0.000 0.173
O 0.500 0.000 0.827
O 0.500 0.500 0.173
O 0.500 0.500 0.827

Peak list (12 most intense, 5° ≤ 2θ ≤ 70°, sorted by position)
2θ/deg, intensity
9.51, 22.0
19.09, 18.3
21.44, 14.0
27.17, 100.0
33.52, 53.0
34.82, 12.3
34.92, 16.2
43.67, 15.9
49.11, 14.8
52.12, 23.5
56.16, 24.7
60.64, 14.6

=====

Entry 4:
Starting from a DFT-relaxed cell (GGA-PBE, Alexandria), the X-ray powder pattern of NaAsIO2 was calculated for Cu Kα, 1.54184 Å.
Intensities are scaled so that the largest is 100.

Cell and atoms:
Cell lengths 7.960, 7.960, 5.177 Å; angles 90.00, 90.00, 138.91 degrees
Positions (direct):
Na 0.085 0.915 0.750
Na 0.915 0.085 0.250
As 0.453 0.547 0.750
As 0.547 0.453 0.250
I 0.247 0.753 0.250
I 0.753 0.247 0.750
O 0.286 0.286 0.000
O 0.286 0.286 0.500
O 0.714 0.714 0.000
O 0.714 0.714 0.500

Peak list (12 most intense, 5° ≤ 2θ ≤ 70°, sorted by position)
2θ/deg, intensity
16.95, 15.2
23.89, 38.1
+++

Interlocking with Watson AIOps Apparently the plan is to integrate Instana into Watson AIOps from IBM. The insights gained in this way are intended to lead to AI-supported alerts should an application deviate from the norm before it can have a negative impact on a transaction or activity.

IBM has used different channels for Takeover expressed, on the one hand in a press release, on the other hand in a more detailed blog post. Mirko Novakovic, CEO of Instana and former head of the German IT service provider codecentric, from which Instana emerged, has also signed up for the acquisition. He also goes a little bit into the previous development of the future Big Blue daughter.



AMD released the first CDNA counting card: the Instinct MI100

AMD’s new Instinct MI 120 is the first over 552 TFLOPS FP 64 – performance-based spreadsheet

AMD has today released its long-awaited first separate computing circuit, codenamed Arcturus. According to the company, the billing card published under the name AMD Instinct MI 100 is the fastest in the world and at the same time the first over 10 teraFLOPS FP 64 – performance-enhancing HPC-class GPU

Instinct MI 100, based on AMD’s CDNA architecture, is manufactured using TSMC’s 7-nanometer process, but the company did not disclose, for example, how many transistors it will build. The CDNA architecture itself is based on the further developed foundation of the GCN architecture, but much has also changed


MI 100 is in use 184 Compute Units divided into four Compute Engine sections. Each CU unit has a Matrix Core Engine alongside traditional scalar and vector units, designed to accelerate matrix calculations. MCE units calculate Matrix Fused Multiply-Add or MFMA tasks with KxN matrices INT8-, FP 10 -, BF 16 and FP 32 – precision figures. The result of MFMA invoices is calculated as either INT 32 or FP 32-give or take.

Theoretical FP of MI – performance is 23, 1 and FP 64 – performance 11, 5 TFLOPS . FP 32 – the theoretical maximum speed for matrix calculations is 46, 1 TFLOPS, FP 16 – matrix calculations 184, 6 TFLOPS and INT4 and INT8 invoices as well 184, 6 TFLOPS. Bfloat 23 – with precision the theoretical maximum performance is 92, 3 TFLOPS

Computing units are supported by 8 megabytes of L2 cache divided into . The L2 cache is said to have a combined bandwidth of up to 6 TB per second. Total 4096 – the bit memory controller supports both 4- and 8-layer HBM2 memories at 2.4 GB / s, for a total of 1, 23 Tt / s memory band and 32 gigabytes of memory. The TDP value of the calculation card is 300 watts.

Instinct MI 64 also supports the second generation Infinity Fabric link between the counting cards and the mapping of up to four GPUs to the same group via a bridge. Each GPU has three IF links, with a total of four MI 100 accelerators 552 GB / s theoretical P2P bandwidth. Accelerators are connected to the processor over the PCI Express 4.0 bus.

Along with the new spreadsheets, a new open source ROCm 4.0 was released. The ROCm package includes a variety of tools for developers ’needs, from translators to interfaces and ready-made libraries. The new open source compiler in ROCm 4.0 supports both OpenMP 5.0 and HIP interfaces.

According to AMD, ready-made server configurations with Instinct MI accelerators are promised at least from Dell, Gigabyte, Hewlett Packard Enterprise and Supermicro.

Source: AMD


Gaia-X: Big US hyperscalers want to get involved in the EU cloud

Gaia-X should become an interoperable European alternative to cloud services from IT giants such as Amazon, Alibaba, Google or Microsoft. But most of the Americans in particular immediately expressed interest in participating and are now all on board at least as partners and members of technical working groups.

At the two-day digital “Gaia-X Summit”, all representatives of the US corporations emphasized on Thursday that they play an important role in the European cloud initiative and that values ​​such as data protection, interoperability, trust, transparency and openness are clearly committed want to fully support free software.

-- begin --
Entry 1:
Diffraction record for La3Al. The powder diffractogram is computed, not measured: it uses DFT lattice parameters and positions (PBE) and λ = 1.5418 Å (Cu Kα).

The 10 most intense peaks (15° ≤ 2θ ≤ 90°), in order of rising 2θ:
2θ 17.85, I 180
2θ 25.35, I 158
2θ 31.18, I 1000
2θ 36.15, I 503
2θ 40.60, I 92
2θ 52.06, I 352
2θ 61.94, I 416
2θ 65.02, I 120
2θ 85.11, I 172
2θ 87.87, I 161

Cell and atoms:
Cell: 4.969 4.969 4.969 Å, 90.00 90.00 90.00°
Atoms (fractional coordinates):
La 0.000 0.000 0.500
La 0.000 0.500 0.000
La 0.500 0.000 0.000
Al 0.500 0.500 0.500

***

Entry 2:
Diffraction record for La3Al. The powder diffractogram is computed, not measured: it uses DFT lattice parameters and positions (PBE) and λ = 1.5418 Å (Cu Kα).

The 10 most intense peaks (15° ≤ 2θ ≤ 90°), in order of rising 2θ:
2θ 20.12, I 184
2θ 31.26, I 1000
2θ 35.39, I 179
2θ 36.58, I 163
2θ 36.77, I 161
2θ 51.82, I 120
2θ 60.97, I 146
2θ 62.56, I 135
2θ 62.82, I 134
2θ 65.21, I 119

Cell and atoms:
Cell: 4.888 4.913 10.145 Å, 90.00 90.00 90.00°
Atoms (fractional coordinates):
La 0.000 0.000 0.000
La 0.000 0.500 0.249
La 0.000 0.500 0.751
La 0.500 0.000 0.251
La 0.500 0.000 0.749
La 0.500 0.500 0.500
Al 0.000 0.000 0.500
Al 0.500 0.500 0.000

***

Entry 3:
Diffraction record for LaAl. The powder diffractogram is computed, not measured: it uses DFT lattice parameters and positions (PBE) and λ = 1.5418 Å (Cu Kα).

The 10 most intense peaks (15° ≤ 2θ ≤ 90°), in order of rising 2θ:
2θ 21.76, I 577
2θ 24.11, I 542
2θ 24.73, I 564
2θ 32.70, I 1000
2θ 33.17, I 894
2θ 34.81, I 887
2θ 35.24, I 226
2θ 41.43, I 490
2θ 56.89, I 224
2θ 60.80, I 309

Cell and atoms:
Cell: 5.437 3.691 5.452 Å, 90.00 97.21 90.00°
Atoms (fractional coordinates):
La 0.221 0.000 0.280
La 0.779 0.000 0.720
Al 0.301 0.500 0.803
Al 0.699 0.500 0.197

***

Entry 4:
Diffraction record for La2Al3. The powder diffractogram is computed, not measured: it uses DFT lattice parameters and positions (PBE) and λ = 1.5418 Å (Cu Kα).

The 10 most intense peaks (15° ≤ 2θ ≤ 90°), in order of rising 2θ:
2θ 19.43, I 233
2θ 20.68, I 422
2θ 28.01, I 996
2θ 31.03, I 1000
2θ 31.57, I 240
2θ 36.63, I 457
2θ 37.34, I 441
2θ 49.72, I 345
2θ 55.88, I 218
2θ 64.19, I 175

Cell and atoms:
Cell: 6.183 6.183 8.225 Å, 90.00 90.00 125.45°
Atoms (fractional coordinates):
La 0.156 0.844 0.902
La 0.344 0.656 0.402
La 0.656 0.344 0.598
La 0.844 0.156 0.098
Al 0.000 0.000 0.500
Al 0.154 0.346 0.750
Al 0.346 0.154 0.250
Al 0.500 0.500 0.000
Al 0.654 0.846 0.750
Al 0.846 0.654 0.250

***

Entry 5:
Diffraction record for LaAl. The powder diffractogram is computed, not measured: it uses DFT lattice parameters and positions (PBE) and λ = 1.5418 Å (Cu Kα).

The 10 most intense peaks (15° ≤ 2θ ≤ 90°), in order of rising 2θ:
2θ 19.53, I 172
2θ 22.59, I 207
2θ 29.75, I 1000
2θ 35.84, I 194
2θ 38.78, I 146
2θ 39.66, I 266
2θ 50.36, I 151
2θ 56.67, I 187
2θ 64.70, I 108
2θ 65.93, I 228

Cell and atoms:
Cell: 9.090 9.090 4.644 Å, 90.00 90.00 120.00°
-- stop --

“We believe in open source and an open cloud”, underlined Wieland Holfelder, head of Google’s Munich development center. Many customers are very concerned about a lock-in effect. The participation in Gaia-X will help to dispel these fears and to build the “next generation of the data infrastructure”. In addition to technical components, Google will provide easily implementable standards of behavior for the General Data Protection Regulation (GDPR). To enable “trustworthy data processing”, customers could save their cryptographic access codes outside of the cloud. Also in the interest of a stronger involvement with Gaia-X, the group has also agreed on a cooperation with the French provider OVHcloud.

“Natural partner” IBM Hillery Hunter, chief technologist of IBM’s cloud division, recommended her company as a “natural partner in the area of ​​digital sovereignty”. It has been investing in open source for over 20 years and took over the pioneer Red Hat last year. For them there is no question: “We have to ensure interoperability and avoid lock-in effects in order to support the export-oriented European economy.” Users should “have complete control over their data”.

Casper Klynge, Microsoft’s “Foreign Minister” in Europe, described Gaia-X as a “catalyst for a competitive European Economy”. Microsoft has long relied on partnerships with local providers with the exchange of know-how and share the vision of a free flow of data across borders. Microsoft respects European values ​​and rules and has supported the GDPR from the beginning.


Corona warning app: security gap in the server

A loophole in the server backend of the German Corona warning app enabled remote code execution (RCE). The actual app was not affected. According to SAP, the loophole was not exploited. Personal data could not be accessed via the interface.

Although the contact recognition of the Corona warning app works decentrally on the smartphones, but the distribution of the random identifiers of infected people to the app runs via a central server.

Sylvester Tremmel has looked at the source code of the Corona warning app and explains the background to the gap

The gap was in the interface to Transmission of positive test results to the server. This is publicly available and does not require authentication. Only a TAN is required for the transmission of a positive result. The TAN is checked by an additional verification server, but only after it has been processed by the vulnerable code. So no positive corona test was necessary for using Lücke.

In the worst case, it would have been possible to write your own code the server and possibly smuggle in falsified results. In a blog post, SAP writes that the elimination of the vulnerability shows that “the open source and community process works perfectly and makes a decisive contribution to the security of the operation of the Corona warning app.”

Fund by GitHubs Security Lab The source code of the app and the of the server are publicly on GitHub. The vulnerability was found by chance by GitHubs Security Lab. Its researchers had looked for patterns for “Java Bean Validation” gaps in order to integrate the recognition patterns into the platform’s automatic code-scanning tools. During the search, they also found the hole in the code for the servers of the Corona warning app. There, the output of an error message was interpreted as a code.

After the discovery, the discoverers reported the vulnerability to SAP. Four days later it was closed for the time being and version 1.5.1 of the server was released. After tests by SAP and BSI, a second, more reliable fix was installed. The current version is 1.6.0 of the server.

A fork of the German Corona warning app is also being used in Belgium. However, the fork was created before the hole appeared in the code of the Corona app server. GitHub recommends that all countries that operate public or private forks of the server also apply the fix.



K8ssandra: DataStax trims Cassandra for cloud-native K8s clusters

As part of KubeCon + CloudNativeCon, DataStax presented K8ssandra, a database based on Apache Cassandra, which should be specially adapted for cloud-native use in Kubernetes clusters. K8ssandra ties in seamlessly with Astra, the database-as-a-service, which makes the NoSQL-DB available as a cloud service on Kubernetes, and which DataStax launched in May of this year. Using a helmet chart, K8ssandra can now be installed in your own Kubernetes clusters with the same functionality.

Preconfigured open source Distribution While the Cassandra community is still working on the completion of version 4.0 and the functions it contains, which promise more flexible use in Kubernetes environments, DataStax is pushing ahead with K8ssandra. The new and immediately available open source distribution from Cassandra is primarily intended to appeal to database administrators and site reliability engineers (SREs) who want to scale data for Kubernetes applications just as flexibly as the applications.

In addition K8ssandra is based on the Kubernetes operator Cass-operator, which acts as a translation layer between the control plane of Kubernetes and the database operations. DataStax had already made the operator freely available as open source on GitHub in spring, in order to underline its own efforts to get more involved in the Cassandra community beyond the commercial DataStax enterprise platform and to contribute to the NoSQL database the standard for Kubernetes.

Fabulous support from Medusa and the Reaper In addition to the Cass operator, K8ssandra uses a number of other open source tools and projects to ensure that the database in the Kubernetes cluster is largely automated. While Cassandra Medusa, which came under DataStax’s control in the course of the takeover of Last Pickle, provides functions for backup and restore of data, the Cassandra Reaper tool helps with important maintenance tasks such as the anti-entropy repair of a Cassandra cluster.

So that database administrators, SREs and users can also comprehensively monitor their Cassandra instances, K8ssandra also includes the observability tools Prometheus and Grafana with preconfigured metric settings and dashboards during installation.

Further information can be found in the official announcement for K8ssandra and on the project’s homepage.



Doctor Who-Themed RISC-V Board to Introduce IoT to Kids

(Image credit: BBC Learning / Tynker / SiFive)

Between two parts of the text: materials data.
- - -
# Ca2HoS3
Computed XRD peak list, Cu Kα, 1.54184 Å. Input: a DFT-relaxed cell (PBE, Alexandria).
Intensities are scaled so that the largest is 100.

Structure:
a b c (Å): 13.162 12.551 6.883
angles (deg): 79.44 69.62 30.94
Positions (direct):
1 Ca 0.042 0.042 0.208
2 Ca 0.124 0.124 0.626
3 Ca 0.208 0.208 0.042
4 Ca 0.374 0.374 0.876
5 Ca 0.626 0.626 0.124
6 Ca 0.792 0.792 0.958
7 Ca 0.876 0.876 0.374
8 Ca 0.958 0.958 0.792
9 Ho 0.292 0.292 0.458
10 Ho 0.458 0.458 0.292
11 Ho 0.542 0.542 0.708
12 Ho 0.708 0.708 0.542
13 S 0.040 0.541 0.217
14 S 0.132 0.618 0.618
15 S 0.217 0.703 0.040
16 S 0.297 0.783 0.459
17 S 0.382 0.868 0.868
18 S 0.459 0.960 0.297
19 S 0.541 0.040 0.703
20 S 0.618 0.132 0.132
21 S 0.703 0.217 0.541
22 S 0.783 0.297 0.960
23 S 0.868 0.382 0.382
24 S 0.960 0.459 0.783

Peak list (10 most intense, 2θ from 10° to 90°, by angle)
d_spacing	two_theta	I (rel.)
6.265	14.1	42
3.840	23.2	13
3.244	27.5	34
2.809	31.9	100
1.987	45.7	58
1.984	45.7	12
1.694	54.1	17
1.623	56.7	12
1.620	56.8	12
1.256	75.7	25

***

# Ca3YHo3S8
Computed XRD peak list, Cu Kα, 1.54184 Å. Input: a DFT-relaxed cell (PBE, Alexandria).
Intensities are scaled so that the largest is 100.

Structure:
a b c (Å): 7.956 7.956 7.956
angles (deg): 59.14 59.14 59.14
Positions (direct):
1 Ca 0.000 0.500 0.500
2 Ca 0.500 0.000 0.500
3 Ca 0.500 0.500 0.000
4 Y 0.500 0.500 0.500
5 Ho 0.000 0.000 0.500
6 Ho 0.000 0.500 0.000
7 Ho 0.500 0.000 0.000
8 S 0.246 0.746 0.746
9 S 0.247 0.247 0.247
10 S 0.254 0.254 0.754
11 S 0.254 0.754 0.254
12 S 0.746 0.246 0.746
13 S 0.746 0.746 0.246
14 S 0.753 0.753 0.753
15 S 0.754 0.254 0.254

Peak list (10 most intense, 2θ from 10° to 90°, by angle)
d_spacing	two_theta	I (rel.)
6.539	13.5	59
3.350	26.6	33
3.213	27.8	29
2.794	32.0	100
2.569	34.9	15
1.989	45.6	36
1.963	46.2	34
1.880	48.4	15
1.606	57.4	18
1.256	75.7	15

***

# CaTbHo2Sb4
Computed XRD peak list, Cu Kα, 1.54184 Å. Input: a DFT-relaxed cell (PBE, Alexandria).
Intensities are scaled so that the largest is 100.

Structure:
a b c (Å): 7.646 6.237 7.644
angles (deg): 65.94 48.14 65.92
Positions (direct):
1 Ca 0.000 0.000 0.000
2 Tb 0.500 0.500 0.500
3 Ho 0.251 0.251 0.249
4 Ho 0.751 0.751 0.749
5 Sb 0.000 0.500 0.000
6 Sb 0.254 0.747 0.253
7 Sb 0.500 0.000 0.500
8 Sb 0.747 0.254 0.746

Peak list (10 most intense, 2θ from 10° to 90°, by angle)
d_spacing	two_theta	I (rel.)
6.245	14.2	3
5.580	15.9	7
3.120	28.6	100
2.722	32.9	3
2.206	40.9	76
1.801	50.7	27
1.560	59.2	13
1.395	67.1	35
1.274	74.5	25
1.103	88.7	7

***

# Ca3Ho5Se8
Computed XRD peak list, Cu Kα, 1.54184 Å. Input: a DFT-relaxed cell (PBE, Alexandria).
Intensities are scaled so that the largest is 100.

Structure:
a b c (Å): 8.225 8.225 8.225
angles (deg): 59.62 59.62 59.62
Positions (direct):
1 Ca 0.000 0.500 0.500
2 Ca 0.500 0.000 0.500
3 Ca 0.500 0.500 0.000
4 Ho 0.000 0.000 0.000
5 Ho 0.000 0.000 0.500
6 Ho 0.000 0.500 0.000
7 Ho 0.500 0.000 0.000
8 Ho 0.500 0.500 0.500
9 Se 0.247 0.750 0.750
10 Se 0.248 0.248 0.248
- - -

Learning to code can be fun, and with boards such as the Raspberry Pi and the upcoming BBC Doctor Who HiFive Inventor Coding Kit a collaboration between BBC Learning, Tynker and SiFive we can learn new skills and save the galaxy while traveling with Doctor Who. This $75 kit provides the equipment and story lead lessons to develop your own sci-fi themed projects. 

(Image credit: BBC Learning / SiFive / Tynker)

The hand shaped board developed by SiFive is powered by a 150 MHz RISC-V SiFive RISC-V FE310-G003 processor, an open source alternative to x86_64 and ARM processors. This choice of processor is unusual, typically boards of this nature are powered by chips from Arm or Atmel. RISC-V has yet to enter the mainstream maker community, but could this be the first commercial board aimed at children?

The HiFive comes with onboard Wi-Fi and Bluetooth enabling creation of IoT projects. Onboard sensors for light, orientation and direction provide interesting ways to provide input for experiments. A 6 x 8 RGB LED matrix provides a colorful method of output.

(Image credit: BBC LEarning / Tynker / SiFive)

The HiFive features an edge connector very similar to that used on the micro:bit, whether this is fully compatible remains to be seen and we shall be testing the board as soon as they are released.

(Image credit: BBC LEarning / Tynker / SiFive)

Writing code for the HiFive is made possible using the Tynker block programming language and the child’s learning is supported via a series of lessons told as stories in the Doctor Who franchise. The block language is aimed at children from seven years upwards, but an optional MicroPython library will enable older children to use the board for more advanced projects.

The kit will retail for $75 and will be available via Amazon from November 23, known to fans as Doctor Who Day.